If there are three words which can strike fear into someone's heart, it's probably these: "pre-existing medical condition." Have one, and you might not get health insurance, or your next job. Despite federal laws prohibiting the use of "pre-existing" medical conditions as a bar to insurance coverage, problems still exist. Consider the plight of William Cowie, who applied for a manufacturing job at a Rockwell International plant in Centralia, Illinois, in 1993. He was tested for the "likelihood" of developing a repetitive stress injury, and was denied employment.
Today, these kinds of issues aren't uncommon, and in fact, cases involving such "pre-existing" conditions may likely increase in the future. One of the "side effects" of today's genetic testing and research is "predictive" testing that will suggest whether or not you are likely to suffer from a given disease, possibly years or decades from now. You may not have been aware of this; you might not have thought of it. But one test - just as Mr.Cowie experienced - and your world can be turned upside down.
Whatever we think of health insurance, HMOs and all of these complex issues, there's one thing that is clear. If you need help, and someone says you can't get it because of a pre-existing condition or that your insurance won't pick up the tab. Of course, you can always find some insurance companies who will cover pre-existing conditions, but you will have to pay an arm and a leg. That's not true acceptance.
The good news is that unlike the insurance companies, God’s Coverage is complete. No small print. No exclusions. No problems. It is coverage which means protection against all the known and the unknown risks and dangers. It is complete which means lacking nothing and it is free, no hidden costs and absolutely no waiting period but at the same time it is conditional. The second half of Psalm 91 talks about God’s in-depth coverage and what conditions an individual believer needs to meet in order to enjoy God’s Complete Coverage.
More than we care to admit, we are living in a world full of wars, famines, natural disasters, man made threats, and unexplainable diseases. In this unsafe world one wonders if there is a place where one could live in absolute security. Does a place like that exist?
I have good news, Yes there is one place which is absolutely safe and secure that is “the shelter of the Most High God” The Psalmist reemphasizes it in Psalm 91: 9-13, “ If you make the Most High your dwelling, even the LORD, who is my refuge, then no harm will befall you; no disaster will come near your tent. For he will command his angels concerning you to guard you in all your ways; they will lift you up in their hands, so that you will not strike your foot against a stone.”
Whatever, God does is always complete and there is no half-heartedness in his intentions or scope. In the same way when it comes to covering his children God goes all the way and looks into minute details of their lives. These scriptures tell us a promise of God for his children which is his absolute protection. There is no doubt in my mind that God is able to protect me all of my life but does that automatically happen or is there a condition that I need to meet first?
There are many promises in God’s word and they are absolutely trust worthy as it says in 2 Cor 1:20; “For no matter how many promises God has made, they are “Yes” in Christ. And so through him the “Amen” is spoken by us to the glory of God.” We evangelical Christians are infamous for throwing “Christian Clichés” at each other saying; “God will provide” “Don’t worry God will take care” “He is in control” Have faith in God He will heal,” “Trust in God”, my God will supply all your needs and so on.
There is absolutely nothing wrong in saying all that because they are indeed God’s promises but what we fail to recognize is that each promise precedes a condition. In the scripture we read; yes there will be no harm and plague come near the home of God’s children, of course God will commend his guarding angles to protect his people but when will that happen?
The Psalmist gives two conditions for God’s complete coverage Vs 9 “If we make the Most High our dwelling; and if we take the LORD as our strong shelter or refuge.” Please check past week’s sermon on what it is to live in the shelter of the Most High God.
........
[1]
# GGA-PBE ErAsF, relaxed
# Crystal system: monoclinic
# Offset from the most stable computed form in meV/atom: 0
data_ErAsF
_chemical_formula_sum 'Er4 As4 F4'
_symmetry_space_group_name_H-M 'C 1 2/m 1'
_symmetry_Int_Tables_number 12
_cell_length_a 9.301
_cell_length_b 4.157
_cell_length_c 6.668
_cell_angle_alpha 90.00
_cell_angle_beta 95.37
_cell_angle_gamma 90.00
loop_
_symmetry_equiv_pos_as_xyz
'x,y,z'
'-x,-y,-z'
'-x,y,-z'
'x,-y,z'
'x+1/2,y+1/2,z'
'-x+1/2,-y+1/2,-z'
'-x+1/2,y+1/2,-z'
'x+1/2,-y+1/2,z'
loop_
_atom_site_label
_atom_site_fract_x
_atom_site_fract_y
_atom_site_fract_z
Er1 0.233 0.000 0.257
As1 0.073 0.000 0.857
F1 0.196 0.500 0.405

***

[2]
# GGA-PBE ErAsF, relaxed
# Crystal system: tetragonal
# Offset from the most stable computed form in meV/atom: 411
data_ErAsF
_chemical_formula_sum 'Er2 As2 F2'
_symmetry_space_group_name_H-M 'I 4 m m'
_symmetry_Int_Tables_number 107
_symmetry_space_group_name_Hall 'I 4 -2'
_cell_length_a 3.230
_cell_length_b 3.230
_cell_length_c 10.270
_cell_angle_alpha 90.00
_cell_angle_beta 90.00
_cell_angle_gamma 90.00
loop_
_atom_site_label
_atom_site_fract_x
_atom_site_fract_y
_atom_site_fract_z
Er1 0.000 0.000 0.000
As1 0.000 0.000 0.301
F1 0.000 0.000 0.578

***

[3]
# GGA-PBE ErAsO4F, relaxed
# Crystal system: monoclinic
data_ErAsO4F
_chemical_formula_sum 'Er4 As4 O16 F4'
_symmetry_space_group_name_H-M 'C 1 2/m 1'
_symmetry_Int_Tables_number 12
_cell_length_a 9.422
_cell_length_b 7.149
_cell_length_c 6.715
_cell_angle_alpha 90.00
_cell_angle_beta 107.27
_cell_angle_gamma 90.00
loop_
_symmetry_equiv_pos_as_xyz
'x,y,z'
'-x,-y,-z'
'-x,y,-z'
'x,-y,z'
'x+1/2,y+1/2,z'
'-x+1/2,-y+1/2,-z'
'-x+1/2,y+1/2,-z'
'x+1/2,-y+1/2,z'
loop_
_atom_site_label
_atom_site_fract_x
_atom_site_fract_y
_atom_site_fract_z
Er1 0.201 0.000 0.102
As1 0.146 0.500 0.276
O1 0.044 0.500 0.782
O2 0.205 0.317 0.154
O3 0.223 0.500 0.538
F1 0.010 0.000 0.820

***

Number 1: formation energy without anion corrections -219.1 kJ/mol of atoms. Number 2: formation energy without anion corrections -179.5 kJ/mol of atoms. Number 3: formation energy without anion corrections -206.0 kJ/mol of atoms.

* * * * *

A plane-wave DFT calculation with PBE was carried out for a relaxed structure of Li2ThCl6.

```
data_Li2ThCl6
_cell_length_a 6.807
_cell_length_b 6.222
_cell_length_c 13.131
_cell_angle_alpha 90.00
_cell_angle_beta 121.20
_cell_angle_gamma 90.00
_space_group_name_H-M_alt 'P 1 21/c 1'
_space_group_IT_number 14
loop_
_space_group_symop_operation_xyz
'x,y,z'
'-x,-y,-z'
'-x,y+1/2,-z+1/2'
'x,-y+1/2,z+1/2'
loop_
_atom_site_label
_atom_site_fract_x
_atom_site_fract_y
_atom_site_fract_z
Li1 0.176 0.001 0.176
Th1 0.500 0.000 0.000
Cl1 0.159 0.243 0.829
Cl2 0.161 0.720 0.500
Cl3 0.499 0.244 0.170
```

Calculated values
........
The second condition is “if we love him and call upon him when we are in trouble.” Vs 14-16, “Because he loves me says the LORD, I will rescue him; I will protect him, for he acknowledges my name. He will call upon me, and I will answer him; I will be with him in trouble, I will deliver him and honor him. With long life will I satisfy him. And show him my salvation.” Here we see the sevenfold promises of God but again as it is with any promises there are certain conditions we must meet first; what are they? “To Love God and call on His name.”
To “love the Lord,” often means biblically to obey the Lord. Deut 30:16, “For I command you today to love the LORD your God, to walk in his ways, and to keep his commands, decrees and laws; then you will live and increase, and the LORD your God will bless you..” Jesus made it very clear that loving Him means obeying his commands.
John 14:15, “If you love me, you will obey what I command.” When we love Christ by obeying his commands he promised to be with us even unto the end of the age. Deliverance comes to those who know the Lord’s majestic name. Knowing means understanding the totality of who the Lord is and what the Lord can do. When we call upon that powerful name of Christ he will answer us and deliver us from our troubles.
The Psalmist can attest to this in Psalm 34:6 “this poor man called; and the LORD heard him; he saves him out of all his troubles.” The twinning of human “call” and divine “answer” appears frequently in Scripture. I can not count how many times I cried out to the LORD in my despair and troubles and saw his deliverance in my life. As the old gospel song, “Trust and Obey,” picks up on some of these ideas. God goes so far as to honor those who are trusting and obedient. When you face troubles who do you look to? Who do you call out to for help?
When we talk about God’s promises let’s keep things in balance. There are at times though we meet all the conditions and do everything by the book we still go through hardships, un-explainable troubles and unbearable heartaches.
I may justify and say that God is allowing this hardship in my life to test me, to refine me and teach me valuable lessons. I may never fully understand why God allows troubles to come on our way, but one thing I know as the following Poem suggests: God never promised a life without pain, Laughter without tears Or sun without rain. But He did promise Strength for the day, Comfort for the tears and light for the way, And for all who believe In His Heaven above He rewards their faith In His everlasting love.”
The real promise of Psalm 91 is that in the midst of the dangers and oppositions of this world, God will not abandon his people. Faith in God does not guarantee a life of ease, but does receive the promise that God will “answer” his people and “be with them in trouble” (vv. 14-16). This may have been what Paul had in mind when, in the midst of his own suffering and imprisonment, he wrote that nothing, not even death, “will be able to separate us from the love of God in Christ Jesus our Lord” (Romans 8:39). God’s love is the ultimate security!
Christian faith is not about taking the path of least resistance or, to use the MapQuest metaphor, the shortest distance between two points. It is not a sprint race but a marathon. While we are not guaranteed lives free of pain (indeed, are often quite the opposite), but we are guaranteed His presence in the midst of our crowded, noisy, dangerous and often-under-construction journey of life. When we make the Most High God as our shelter and learn to dwell in his presence then we live without fear, for God is with us no matter where we find ourselves.
While this provision is made available for every one, only His Children can fully experience it. The only way you can become a child of God is by repenting of your sins and asking Jesus to forgive your sins and come into your heart to make his dwelling in you. When you do that sincerely today as I said earlier there is no waiting period (unlike the insurance coverage) you can start experiencing God’s complete coverage not only for you but also for your family. Amen